To do:
What is needed: repeat only the last part of the material further below, starting with the line that has "0.66 1.64".
Listing:
- - -
Entry 1:
A cluster of 2 separate species, C3H6ClN in total in a non-equilibrium geometry, computed with wB97M-V/def2-TZVPD.

Output
HOMO-LUMO gap (alpha / beta) = 6.5 / 6.5 eV
HOMO level (alpha / beta) = -7.8930 / -7.8960 eV
energy = -632.618108 hartree
max |F| = 0.101 hartree/bohr
LUMO level (alpha / beta) = -1.40 / -1.40 eV

Cartesian coordinates (Å):
C -0.007 -1.097 0.799
C 0.227 -0.982 -0.730
C -0.765 -0.142 0.029
N 0.282 2.424 -0.082
Cl -2.393 -0.077 0.100
H -0.502 -1.908 1.261
H 0.848 -0.914 1.421
H 1.029 -0.575 -1.234
H -0.227 -1.810 -1.449
H 0.823 2.466 -0.919
H 0.684 2.616 0.803

Cartesian forces, eV/Å:
C 1.97 0.23 -0.25
C -4.36 -2.67 -0.83
C 3.05 1.32 -0.25
N -3.46 -1.62 -0.32
Cl -1.42 0.48 -0.44
H -0.94 -0.95 -0.20
H 0.35 0.92 0.08
H 1.87 1.12 -0.09
H 0.66 1.64 1.79
H 1.08 -0.30 -0.03
H 1.20 -0.16 0.54


Entry 2:
A structure of composition C53H66Cl5CuN2OP3Si in a non-equilibrium geometry, computed with wB97M-V/def2-TZVPD.

Output
HOMO-LUMO gap (alpha / beta) = 7.1 / 6.6 eV
spin multiplicity = 2
HOMO level (alpha / beta) = -6.5911 / -7.4485 eV
energy = -7498.927154 hartree
<S²> = 0.7566
max |F| = 0.024 hartree/bohr
LUMO level (alpha / beta) = 0.53 / -0.81 eV

Cartesian coordinates (Å):
Cu 1.029 -0.420 -0.666
C 4.416 -4.502 -1.565
C 4.020 -3.021 -1.506
C 4.079 -2.475 -2.938
P 2.352 -2.629 -0.734
C 1.323 -4.005 -1.479
C 1.260 -5.277 -0.639
C -0.073 -3.545 -1.910
C 2.558 -2.928 1.059
C 3.679 -3.566 1.595
C 3.805 -3.750 2.962
C 2.808 -3.294 3.811
C 1.709 -2.633 3.284
C 1.565 -2.420 1.910
Si 0.064 -1.428 1.227
C -0.475 -0.355 2.696
C -1.474 -0.772 3.581
C -1.928 0.059 4.594
C -1.389 1.334 4.733
C -0.361 1.739 3.896
C 0.116 0.895 2.892
P 1.616 1.203 1.884
C 2.919 0.726 3.159
C 2.546 0.864 4.634
C 4.307 1.331 2.913
C 1.640 3.053 1.553
C 0.234 3.570 1.198
C 2.320 3.990 2.555
C -1.295 -2.789 1.116
C -1.046 -4.093 1.553
C -1.942 -5.128 1.321
C -3.120 -4.875 0.638
C -3.426 -3.575 0.262
C -2.544 -2.525 0.519
P -2.983 -0.741 0.444
C -4.314 -0.722 1.766
C -5.720 -1.210 1.426
C -4.393 0.674 2.379
C -3.788 -0.379 -1.194
C -4.760 -1.356 -1.853
C -2.641 -0.086 -2.163
H 5.452 -4.565 -1.904
H 3.810 -5.048 -2.288
H 4.346 -5.024 -0.615
H 4.744 -2.482 -0.888
H 3.223 -2.816 -3.526
H 4.981 -2.840 -3.433
H 4.091 -1.394 -2.970
H 1.873 -4.231 -2.395
H 0.752 -5.093 0.306
H 2.247 -5.677 -0.415
H 0.698 -6.043 -1.178
H -0.791 -3.632 -1.094
H -0.430 -4.165 -2.735
H -0.070 -2.509 -2.249
H 4.477 -3.910 0.954
H 4.680 -4.248 3.360
H 2.897 -3.432 4.881
H 0.954 -2.249 3.959
H -1.910 -1.757 3.468
H -2.709 -0.278 5.264
H -1.752 1.998 5.508
H 0.092 2.708 4.050
H 2.995 -0.346 2.945
H 2.316 1.897 4.899
H 3.395 0.547 5.246
H 1.690 0.248 4.904
H 4.428 2.255 3.475
H 4.511 1.543 1.864
H 5.073 0.637 3.267
H 2.224 3.085 0.627
H -0.216 4.085 2.047
H -0.443 2.774 0.890
H 0.293 4.286 0.376
H 1.954 3.842 3.572
H 2.102 5.025 2.276
H 3.399 3.876 2.561
H -0.121 -4.311 2.071
H -1.707 -6.132 1.653
H -3.816 -5.678 0.431
H -4.372 -3.385 -0.218
H -3.891 -1.398 2.516
H -6.205 -0.540 0.714
H -6.329 -1.214 2.334
H -5.733 -2.220 1.024
H -4.889 1.361 1.689
H -3.401 1.065 2.610
H -4.975 0.655 3.303
H -4.311 0.566 -0.994
H -4.238 -2.262 -2.161
H -5.168 -0.897 -2.758
H -5.598 -1.635 -1.220
H -2.116 -1.013 -2.410
H -1.913 0.606 -1.735
H -3.017 0.342 -3.096
Cl 4.080 0.539 -0.547
C 3.314 0.800 -2.091
C 2.030 0.306 -2.282
C 1.558 0.415 -3.578
Cl -0.049 -0.177 -3.917
C 2.267 1.000 -4.622
Cl 1.619 1.063 -6.222
C 3.513 1.563 -4.359
Cl 4.377 2.390 -5.599
C 4.051 1.451 -3.078
Cl 5.618 2.098 -2.753
C -1.632 3.707 -4.603
N -0.845 3.841 -3.389
N -1.274 3.095 -2.287
C -0.114 2.617 -1.613
O -0.164 1.855 -0.658
C 0.999 3.221 -2.291
C 0.519 3.859 -3.386
C 1.263 4.486 -4.512
C -2.344 3.664 -1.534
C -2.850 4.918 -1.865
C -3.839 5.495 -1.084
C -4.306 4.846 0.048
C -3.790 3.601 0.376
C -2.834 2.989 -0.420
H -2.678 3.607 -4.328
H -1.332 2.828 -5.183
H -1.516 4.602 -5.212
H 2.026 3.133 -1.992
H 2.315 4.576 -4.254
H 0.864 5.475 -4.738
H 1.189 3.873 -5.414
H -2.453 5.463 -2.709
H -4.221 6.471 -1.352
- - -
Response:
H 0.66 1.64 1.79
H 1.08 -0.30 -0.03
H 1.20 -0.16 0.54


Entry 2:
A structure of composition C53H66Cl5CuN2OP3Si in a non-equilibrium geometry, computed with wB97M-V/def2-TZVPD.

Output
HOMO-LUMO gap (alpha / beta) = 7.1 / 6.6 eV
spin multiplicity = 2
HOMO level (alpha / beta) = -6.5911 / -7.4485 eV
energy = -7498.927154 hartree
<S²> = 0.7566
max |F| = 0.024 hartree/bohr
LUMO level (alpha / beta) = 0.53 / -0.81 eV

Cartesian coordinates (Å):
Cu 1.029 -0.420 -0.666
C 4.416 -4.502 -1.565
C 4.020 -3.021 -1.506
C 4.079 -2.475 -2.938
P 2.352 -2.629 -0.734
C 1.323 -4.005 -1.479
C 1.260 -5.277 -0.639
C -0.073 -3.545 -1.910
C 2.558 -2.928 1.059
C 3.679 -3.566 1.595
C 3.805 -3.750 2.962
C 2.808 -3.294 3.811
C 1.709 -2.633 3.284
C 1.565 -2.420 1.910
Si 0.064 -1.428 1.227
C -0.475 -0.355 2.696
C -1.474 -0.772 3.581
C -1.928 0.059 4.594
C -1.389 1.334 4.733
C -0.361 1.739 3.896
C 0.116 0.895 2.892
P 1.616 1.203 1.884
C 2.919 0.726 3.159
C 2.546 0.864 4.634
C 4.307 1.331 2.913
C 1.640 3.053 1.553
C 0.234 3.570 1.198
C 2.320 3.990 2.555
C -1.295 -2.789 1.116
C -1.046 -4.093 1.553
C -1.942 -5.128 1.321
C -3.120 -4.875 0.638
C -3.426 -3.575 0.262
C -2.544 -2.525 0.519
P -2.983 -0.741 0.444
C -4.314 -0.722 1.766
C -5.720 -1.210 1.426
C -4.393 0.674 2.379
C -3.788 -0.379 -1.194
C -4.760 -1.356 -1.853
C -2.641 -0.086 -2.163
H 5.452 -4.565 -1.904
H 3.810 -5.048 -2.288
H 4.346 -5.024 -0.615
H 4.744 -2.482 -0.888
H 3.223 -2.816 -3.526
H 4.981 -2.840 -3.433
H 4.091 -1.394 -2.970
H 1.873 -4.231 -2.395
H 0.752 -5.093 0.306
H 2.247 -5.677 -0.415
H 0.698 -6.043 -1.178
H -0.791 -3.632 -1.094
H -0.430 -4.165 -2.735
H -0.070 -2.509 -2.249
H 4.477 -3.910 0.954
H 4.680 -4.248 3.360
H 2.897 -3.432 4.881
H 0.954 -2.249 3.959
H -1.910 -1.757 3.468
H -2.709 -0.278 5.264
H -1.752 1.998 5.508
H 0.092 2.708 4.050
H 2.995 -0.346 2.945
H 2.316 1.897 4.899
H 3.395 0.547 5.246
H 1.690 0.248 4.904
H 4.428 2.255 3.475
H 4.511 1.543 1.864
H 5.073 0.637 3.267
H 2.224 3.085 0.627
H -0.216 4.085 2.047
H -0.443 2.774 0.890
H 0.293 4.286 0.376
H 1.954 3.842 3.572
H 2.102 5.025 2.276
H 3.399 3.876 2.561
H -0.121 -4.311 2.071
H -1.707 -6.132 1.653
H -3.816 -5.678 0.431
H -4.372 -3.385 -0.218
H -3.891 -1.398 2.516
H -6.205 -0.540 0.714
H -6.329 -1.214 2.334
H -5.733 -2.220 1.024
H -4.889 1.361 1.689
H -3.401 1.065 2.610
H -4.975 0.655 3.303
H -4.311 0.566 -0.994
H -4.238 -2.262 -2.161
H -5.168 -0.897 -2.758
H -5.598 -1.635 -1.220
H -2.116 -1.013 -2.410
H -1.913 0.606 -1.735
H -3.017 0.342 -3.096
Cl 4.080 0.539 -0.547
C 3.314 0.800 -2.091
C 2.030 0.306 -2.282
C 1.558 0.415 -3.578
Cl -0.049 -0.177 -3.917
C 2.267 1.000 -4.622
Cl 1.619 1.063 -6.222
C 3.513 1.563 -4.359
Cl 4.377 2.390 -5.599
C 4.051 1.451 -3.078
Cl 5.618 2.098 -2.753
C -1.632 3.707 -4.603
N -0.845 3.841 -3.389
N -1.274 3.095 -2.287
C -0.114 2.617 -1.613
O -0.164 1.855 -0.658
C 0.999 3.221 -2.291
C 0.519 3.859 -3.386
C 1.263 4.486 -4.512
C -2.344 3.664 -1.534
C -2.850 4.918 -1.865
C -3.839 5.495 -1.084
C -4.306 4.846 0.048
C -3.790 3.601 0.376
C -2.834 2.989 -0.420
H -2.678 3.607 -4.328
H -1.332 2.828 -5.183
H -1.516 4.602 -5.212
H 2.026 3.133 -1.992
H 2.315 4.576 -4.254
H 0.864 5.475 -4.738
H 1.189 3.873 -5.414
H -2.453 5.463 -2.709
H -4.221 6.471 -1.352